**What to do:**
Please echo only the lines further down with the word "Tl1" in them.
**Excerpt:**
# Tb

Tb after structural relaxation (meta-GGA r2SCAN, the Materials Project database).

Computed properties:
theoretical density	8.2	g/cm3
energy relative to the elements	0.032	eV/atom
VASP energy	-31.1949	eV/atom
total moment	0.000	μB/cell
SG	Fm-3m (225)
relative energy among the computed polymorphs	32	meV per atom

a = 3.5638 Å, b = 3.5638 Å, c = 3.5638 Å
α = 60.00°, β = 60.00°, γ = 60.00°
Fractional coordinates of all 1 atoms:
Tb 0.0000 0.0000 0.0000

---

# Tb

Tb after structural relaxation (meta-GGA r2SCAN, the Materials Project database).

Computed properties:
theoretical density	8.2	g/cm3
energy relative to the elements	0.003	eV/atom
VASP energy	-31.2229	eV/atom
total moment	0.303	μB/cell
SG	R-3m (166)
relative energy among the computed polymorphs	3	meV per atom

a = 3.6071 Å, b = 3.6071 Å, c = 8.8370 Å
α = 78.22°, β = 78.22°, γ = 60.00°
Fractional coordinates of all 3 atoms:
Tb 0.7782 0.7782 0.6655
Tb 0.2218 0.2218 0.3345
Tb 0.0000 0.0000 0.0000

---

# Tb

Tb after structural relaxation (meta-GGA r2SCAN, the Materials Project database).

Computed properties:
theoretical density	8.1	g/cm3
energy relative to the elements	0.002	eV/atom
VASP energy	-31.2249	eV/atom
total moment	0.421	μB/cell
SG	P6_3/mmc (194)
relative energy among the computed polymorphs	2	meV per atom

a = 3.5937 Å, b = 3.5937 Å, c = 17.4406 Å
α = 90.00°, β = 90.00°, γ = 120.00°
Fractional coordinates of all 6 atoms:
Tb 0.6667 0.3333 0.5828
Tb 0.3333 0.6667 0.4172
Tb 0.3333 0.6667 0.0828
Tb 0.0000 0.0000 0.7500
Tb 0.6667 0.3333 0.9172
Tb 0.0000 0.0000 0.2500

---

# TbTc2

TbTc2 after structural relaxation (meta-GGA r2SCAN, the Materials Project database).

Computed properties:
theoretical density	10.7	g/cm3
energy relative to the elements	-0.178	eV/atom
VASP energy	-27.8966	eV/atom
total moment	0.000	μB/cell
SG	P6_3/mmc (194)

a = 5.3531 Å, b = 5.3531 Å, c = 8.8660 Å
α = 90.00°, β = 90.00°, γ = 120.00°
Fractional coordinates of all 12 atoms:
Tc 0.0000 0.0000 0.5000
Tc 0.6575 0.8287 0.7500
Tc 0.8288 0.1712 0.2500
Tc 0.1712 0.8288 0.7500
Tc 0.0000 0.0000 0.0000
Tb 0.3333 0.6667 0.0629
Tb 0.6667 0.3333 0.5629
Tc 0.1713 0.3425 0.7500
Tc 0.3425 0.1713 0.2500
Tb 0.6667 0.3333 0.9371
Tc 0.8287 0.6575 0.2500
Tb 0.3333 0.6667 0.4371


(1)
Material: TlAgF3
Method: DFT, meta-GGA r2SCAN
State: optimized geometry

Structure (CIF):
```
data_TlAgF3
_space_group_name_H-M_alt 'C 1 m 1'
_space_group_IT_number 8
_cell_length_a 6.1371
_cell_length_b 6.1541
_cell_length_c 4.3361
_cell_angle_alpha 90.00
_cell_angle_beta 90.21
_cell_angle_gamma 90.00
loop_
_space_group_symop_operation_xyz
'x,y,z'
'x,-y,z'
'x+1/2,y+1/2,z'
'x+1/2,-y+1/2,z'
loop_
_atom_site_label
_atom_site_fract_x
_atom_site_fract_y
_atom_site_fract_z
Tl1 0.0000 0.0000 0.0000
Ag1 0.0027 0.5000 0.4942
F1 0.0032 0.5000 0.9943
F2 0.2524 0.2497 0.4921
```

Calculated values
- ΔE_f: -7.957 eV per formula unit
- Calculated total energy: -18.37 eV per atom



(2)
Material: Cu2PO4
Method: DFT, meta-GGA r2SCAN
State: optimized geometry

Structure (CIF):
```
data_Cu2PO4
_space_group_name_H-M_alt 'P -1'
_space_group_IT_number 2
_cell_length_a 5.9962
_cell_length_b 6.1932
_cell_length_c 9.2336
_cell_angle_alpha 73.98
_cell_angle_beta 84.15
_cell_angle_gamma 79.68
loop_
_space_group_symop_operation_xyz
'x,y,z'
'-x,-y,-z'
loop_
_atom_site_label
_atom_site_fract_x
_atom_site_fract_y
_atom_site_fract_z
Cu1 0.0252 0.1167 0.2284
Cu2 0.1921 0.3281 0.4701
Cu3 0.4355 0.1881 0.8455
Cu4 0.4514 0.6158 0.8655
P1 0.1207 0.6987 0.1175
P2 0.2907 0.8051 0.5010
O1 0.1241 0.2565 0.8292
O2 0.1345 0.6458 0.4777
O3 0.1511 0.7125 0.9460
O4 0.1951 0.0495 0.4089
O5 0.2407 0.4606 0.2010
O6 0.2450 0.8846 0.1455
O7 0.2793 0.8014 0.6681
O8 0.4726 0.2606 0.5628
```

Calculated values
- ΔE_f: -10.867 eV per formula unit
- Calculated total energy: -9.35 eV per atom



(3)
Material: NbSeF9
Method: DFT, meta-GGA r2SCAN
State: optimized geometry

Structure (CIF):
```
data_NbSeF9
_space_group_name_H-M_alt 'R 3'
_space_group_IT_number 146
**Worked solution:**
Tl1 0.0000 0.0000 0.0000